On Friday, February 14 the Bureau of Land Management (BLM) released the Final Programmatic Environmental Impact Statement (PEIS) for Fuel Breaks in the Great Basin. This Final PEIS provides for the construction and maintenance of a system of up to 11,000 miles of fuel breaks within a 223 million acre area to aid in the control of wildfires in portions of Idaho, Oregon, Washington, California, Nevada, and Utah.
The Preferred Alternative outlined in the PEIS analyzes manual, chemical and mechanical treatments, including prescribed fire, seeding, and targeted grazing to construct and maintain a system of fuel breaks. These treatments would be implemented along roads and rights-of-way on BLM-administered lands to minimize new disturbance and wildlife habitat fragmentation and to maximize accessibility for wildland firefighters.
The estimated total cost of developing and producing the PEIS was $2.3 million.
“Wildfires pose an enormous threat to rangelands in the Great Basin – rangelands that people depend on for both recreational opportunities and their livelihoods, and that wildlife rely on for habitat,” said BLM Deputy Director for Policy and Programs William Perry Pendley. “Fuel breaks are one of the most important tools we have to give wildland firefighters a chance to safely and effectively contain rapidly moving wildfires and potentially reduce wildfire size.”
Wildfires in sagebrush communities in the Great Basin states are becoming more frequent and larger, fueled by large, unbroken swaths of grasses, brush and other vegetation. Over 13.5 million acres of historically sagebrush communities on BLM land burned within the project area between 2009 and 2018. Wildfires that consume sagebrush provide the opportunity for invasive annual grasses to increase, making future large and severe wildfires more likely.
The concept behind fuel breaks is to break up or fragment continuous fuels by reducing vegetation in key locations. When a wildfire burns into a fuel break, the flame lengths decrease and its progress slows, making it safer and easier for firefighters to control.
An electronic copy of the Final PEIS and associated documents is available for public review for 30 days on the BLM Land Use Planning and NEPA register at https://go.usa.gov/xnQcG. Other documents related to the EIS are at the BLM’s ePlanning website. The BLM will issue a Record of Decision after the end of the public review period.
My concern is funding.
This will be a multi-year project just to construct the initial fuelbreaks. Then they require periodic maintenance or the fuelbreak disappears as the vegetation regrows.
You will still be building the last of the fuelbreaks as the first ones need retreatment. Will the funding be there to do both — finish the initial project while re-treating the first ones built? The BLM is expecting Congress to keep funding promises indefinitely into the future. LOL!
The FS built a massive network of fuelbreaks in the early 1970s. Where are they now? Every one disappeared over time as maintenance funding dried up and priorities changed.
This is a terrific idea. My fear is it will be a temporary effort that will eventually fade away.
Let’s see: you disturb the ground to create a fuel break (kinda like a dozer line) and guess what grows back? Yeah, cheatgrass. Wonder how it burns? Another “Duh” moment in the annals of fire management.
Here on my district, we use fuel breaks.
We mow and treat 150′ on each side of the main county roads out in our big desert annually. Roughly we have about 10 areas sectioned off with these fuel breaks, 25,000 – 30,000 acre chunks. As an initial attack IC, I have used them plenty of times. I’ve burned off them, I’ve had airtankers drop along them, I’ve corralled fires into them, I’ve anchored off them, and they work plain and simple.
-- Misplaced molecular data --
********
ORCA calculation (the ωB97M-V functional and the def2-TZVPD basis) on a 2-piece molecular cluster, C6H16S2 overall at a distorted geometry.

```
24
Properties=species:S:1:pos:R:3
C 3.10 0.84 3.42
C 3.89 1.48 4.63
C 5.20 0.77 5.02
S 4.84 -0.79 5.85
H 2.22 1.47 3.18
H 2.74 -0.18 3.63
H 3.76 0.81 2.54
H 4.14 2.49 4.25
H 3.30 1.61 5.56
H 5.88 0.51 4.19
H 5.77 1.36 5.76
H 3.65 -0.65 6.48
C -2.16 -4.97 -4.02
C -1.24 -4.49 -2.84
C 0.28 -4.93 -2.87
S 0.26 -6.75 -2.68
H -2.16 -6.07 -4.07
H -1.86 -4.57 -5.01
H -3.18 -4.62 -3.80
H -1.25 -3.39 -2.82
H -1.81 -4.85 -1.96
H 0.75 -4.60 -3.81
H 0.78 -4.40 -2.03
H -0.47 -7.10 -3.76
```

E	-1034.540811	Ha
relative energy (zero: lowest compared OMol25 entry of this formula, charge and spin)	22.2	kcal per mole
SMILES string	CCCS.CCCS
max |F|	2.10	eV Å⁻¹
multiplicity	1

***

ORCA calculation (the ωB97M-V functional and the def2-TZVPD basis) on C19H32BaCl2N3O4 as an isolated structure at a distorted geometry.

```
61
Properties=species:S:1:pos:R:3
O -0.19 -0.19 -2.25
C -0.54 0.59 -3.11
C -0.85 0.16 -4.51
C -0.41 -1.07 -5.07
H 0.47 -1.56 -4.66
C -1.13 -1.66 -6.11
H -0.88 -2.66 -6.44
C -2.24 -1.02 -6.66
H -2.81 -1.49 -7.47
C -2.54 0.27 -6.21
H -3.41 0.77 -6.63
C -1.82 0.90 -5.20
H -2.02 1.95 -4.91
H -0.85 1.66 -2.81
C 1.47 2.82 -3.58
C 0.56 2.90 -2.45
H 1.94 3.76 -3.91
H 0.87 2.42 -4.44
H 2.27 2.08 -3.37
C 0.39 3.04 -1.15
C 1.40 3.57 -0.11
H -0.54 2.66 -0.70
H 1.97 4.42 -0.53
H 2.13 2.80 0.18
H 0.93 3.92 0.82
Ba -0.43 -1.22 0.21
Cl 2.30 -1.12 -1.11
Cl -2.83 0.65 -0.27
C 2.64 -0.28 1.90
O 1.43 -0.43 2.16
N 3.61 0.00 2.78
C 3.36 0.03 4.21
C 5.01 0.03 2.37
H 2.98 -0.42 0.85
H 2.29 0.10 4.41
H 3.89 0.88 4.64
H 3.77 -0.88 4.68
H 5.06 0.00 1.27
H 5.55 -0.84 2.78
H 5.50 0.94 2.74
H -2.96 1.40 5.39
H -5.39 1.32 3.35
C -2.58 1.74 4.42
C -4.51 1.74 2.84
N -3.29 1.12 3.32
H -1.52 1.52 4.36
C -2.74 0.10 2.65
O -1.57 -0.30 2.76
H -4.60 1.57 1.77
H -3.43 -0.35 1.91
H -2.74 2.82 4.35
H -4.46 2.80 3.05
C 1.20 -4.54 1.86
C -0.27 -4.62 1.60
N -0.93 -5.57 2.29
O -0.90 -3.88 0.80
H 1.66 -5.53 1.82
H 1.39 -4.15 2.87
H 1.67 -3.87 1.13
H -1.89 -5.79 2.04
H -0.50 -6.05 3.06
```

E	-2154.348658	Ha
charge	-1
relative energy (zero: lowest compared OMol25 entry of this formula, charge and spin)	26.4	kcal per mole
max |F|	2.96	eV Å⁻¹
multiplicity	1

***

ORCA calculation (the ωB97M-V functional and the def2-TZVPD basis) on C26H35CsN8O3S4 as an isolated structure at a distorted geometry.

```
77
Properties=species:S:1:pos:R:3
Cs -0.14 0.22 0.54
N -1.54 -2.77 -0.05
C -1.56 -3.38 -1.39
C -1.93 -2.36 -2.46
N -0.88 -1.40 -2.79
C -1.43 -0.23 -3.50
C -0.80 1.10 -3.10
N -1.37 1.59 -1.84
C 0.17 -2.05 -3.56
C 1.39 -1.18 -3.83
N 2.02 -0.74 -2.58
H -1.33 -3.48 0.64
H -2.48 -2.43 0.16
H -2.30 -4.19 -1.46
H -0.58 -3.82 -1.58
H -2.79 -1.81 -2.08
H -2.26 -2.91 -3.36
H -2.50 -0.17 -3.28
H -1.34 -0.36 -4.59
H -0.95 1.81 -3.92
H 0.27 0.96 -2.93
H -2.33 1.88 -1.98
H -0.87 2.41 -1.52
H -0.23 -2.41 -4.53
H 0.51 -2.93 -3.01
H 1.11 -0.30 -4.41
H 2.07 -1.78 -4.46
********
Your duh moment is without understanding the ecology of certain areas, or those that labor to keep it out of our district. Our fuel breaks lack the annual Bromus tectorum (cheatgrass), and have native bunch grass, and often times more fire resistant Agropyron cristatum (crested wheat) throughout.
Our fuel breaks work, and we are adding more in other areas of the district. All essentially for the cost of renting 4 tractors and putting engine captains to work doing the treatments.
It seems to be popular to hate on the government. Here’s an opportunity to help the boots on the ground, mitigate potential impacts to communities and resources, and it’s shot down as a poor idea.
I gladly welcome more funding for more fuel breaks. But I’m the one that will use them, not any of you that have posted so far.
As a firefighter, I think this is awesome. I’d way rather fire off a road with 150′ of cheatgrass before the heavy fuels start, than a two track with chest-high sage and juniper. That’s just me though.
Fascinating, but without an accompanying cost estimate, this is essentially DOA.
This cannot be cheap to implement or maintain, and this sort of active management is the first thing stripped out of budgets.
What needs to accompany the fuel breaks is a change in tactics…I started my fire career in those vast expanses of blm land back in the mid 70’s.
In my opinion, we are seeing more and more fires that are not going to be caught at IA ….I don’t care how many large airtankers you order and the “show” that gets put on.
I am thinking firing operations done from county roads, fuel breaks such as described here, and other sources that can hold backfires need to be considered as an IA tool, especially when resources are maxed out and conditions are prime.
It’s a lot to put on the backs of these young men and women who roll in as an IA I.C…..there would need to be real support from the top to make this a viable option ( KEY WORD….Option ),
at the end of the day I would rather see 2 or3 or6000 acres fired off to get a box around an uncatchable fire than see it go gonzo….
3 fires in NE nevada scorched 3/4 of a million acres in 2018, in places that I would never have expected such extensive and continuous fire…..obviously anchor, flank and pinch isn’t working.
Just some thoughts from an old guy who thought IA was the coolest job in the world…
You’re right. These fuel breaks make safety zones for people and equipment but may be limited in actually stopping fires.
Having personally witnessed the Woolsey fire jump an 8 lane freeway with clear space on either side in less than two minutes it seems questionable whether these fuel breaks are still effective in managing the intense fires we have today.
Won’t be effective on every fire. No one ever claimed they are. A wind driven fire will still overwhelm a fuelbreak.
But most fires are not like the Woolsey or Camp Fire. Only 1 or 2 % of all fires start under those extreme conditions. For the rest of the fires a fuelbreak will be highly effective.
Let us not fall into the fallacy of “It will not work in every case so do not do it at all.”
Fuels treatments in timber fuels may help stop the progression of a fire but more importantly change the fuel structure to lower local fire intensities and reduce loss to valuable assets or tree loss in critical habitat/watersheds/etc. What use is a fuel brake in grasslands that promotes the spread of cheat grass and is only effective in mild wind conditions? The NEPA planning around this project has been a joke. For almost the entire public comment period the entire website was down or full of dead links. There has been zero spatial/statistical analysis of where to place treatments to be the most effective. From what has been presented to date the project looks like nothing more that a huge waste of taxpayer dollars.